Occasionally my wife will ask me to set the clock in her Prius C, but the clock in the Prius C is a special kind of stupid I've never encountered before. Almost every clock I've ever set starts ticking the seconds from the moment you change the minute. For example, if the clock reads 1:58 pm and I change it to 1:59, it will change to 2:00 60 seconds later. But oh no, not the Prius C. At first I couldn't figure out what was going on. I'd set the clock and the minute would change ten seconds later. After a half-hour of testing and cussing at the car I figured out what is happening: every time you press a button to advance the minute or the hour, the clock also advances the second. This makes setting the clock accurately a difficult puzzle to solve rather than the simple task it should be. Luckily, pressing and holding the button only advances one second no matter how many hours or minutes. Imagine your clock is 10 minutes and 30 seconds slow. Pressing the button ten times to advance the minutes will also advance the seconds by ten. Now your clock is 20 seconds slow. What you have to do in that case is press the button 29 times to advance the seconds to the correct place, and then press and hold the button to advance the minutes to the correct place. The press and hold will also advance the seconds by one, which puts you at the correct time. If you accidentally over or undershoot the minutes you have to start all over again. You'd have to work at making a clock this stupid. Why would anybody do such a thing? Does anyone know who actually manufactures the clock in the Prius C?
my guess is that the vast majority of people don't care if the clock is 20 seconds slow. or anything +/- 1 to 2 minutes. so no one gets worked up about it.
I haven't observed this, but then I synchronise the clock at least about once a month anyway, but I'll do it any time I'm in the car and notice I'm nearing the top of the hour. Mine actually holds time surprisingly well. It does annoy me that you can't synchronise it to the nearest minute, with ":00" taking you to the top of the hour, but this is a common behaviour on Toyotas, so I'm used to it from my previous vehicles. I just flick over to one of the radio stations that broadcasts a time signal and zero it. It's one of the few settings the car lets you change while moving, thankfully.
What's a "watch"? Seriously - since I started carrying a cell phone I stopped wearing my watches. If I'm in the car - I have the clock. If not - I have my phone. Then again - since I retired three months ago - I often don't know what day it is...
i always keep mine +- 1 minute ahead, i don't like to be late. might be 30 seconds ahead, might be a minute and a half. as long as it's not slow, i'm good. i usually check it with the nes station beep.
I've often wondered why the clock was not designed to sync with the time signal that I presume SAT radio transmits. I've gone back to watches since I find checking my cell phone all the time is a pita. My new Casio Waveceptor/Solar was just delivered to my housein fact...or so Amazon says...
_The text is interrupted by calculated crystals_
********
# LiV3O4

A geometry-optimized LiV3O4 structure (PBE with a Hubbard U, the Materials Project).

a b c (Å): 4.269 4.322 8.626
angles (deg): 90.00 90.00 90.00
Space group Pmm2 (No. 25)
Unique sites:
Li1 0.000 0.000 0.000
Li2 0.500 0.500 0.499
V1 0.000 0.000 0.507
V2 0.000 0.500 0.248
V3 0.000 0.500 0.750
V4 0.500 0.000 0.255
V5 0.500 0.000 0.753
V6 0.500 0.500 0.998
O1 0.000 0.000 0.269
O2 0.000 0.000 0.746
O3 0.000 0.500 0.502
O4 0.000 0.500 0.998
O5 0.500 0.000 0.002
O6 0.500 0.000 0.505
O7 0.500 0.500 0.235
O8 0.500 0.500 0.758

Results
- formation energy from the elements (meV/atom) = -2275
- DFT total energy (eV per formula unit) = -59.31
- crystal system = orthorhombic

=====

# CoWO4

A geometry-optimized CoWO4 structure (PBE with a Hubbard U, the Materials Project).

a b c (Å): 4.701 5.767 5.062
angles (deg): 90.00 90.76 90.00
Space group Pc (No. 7)
Unique sites:
Co1 0.000 0.158 0.000
W1 0.500 0.327 0.500
O1 0.241 0.125 0.350
O2 0.282 0.391 0.819
O3 0.717 0.390 0.180
O4 0.759 0.126 0.649

Results
- formation energy from the elements (meV/atom) = -1922
- DFT total energy (eV per formula unit) = -42.57
- crystal system = monoclinic

=====

# Na3VP8O23

A geometry-optimized Na3VP8O23 structure (PBE with a Hubbard U, the Materials Project).

a b c (Å): 12.178 12.178 12.178
angles (deg): 90.00 90.00 90.00
Space group P4_132 (No. 213)
Unique sites:
Na1 0.044 0.294 0.125
V1 0.125 0.625 0.875
P1 0.017 0.017 0.017
P2 0.069 0.359 0.854
O1 0.010 0.405 0.425
O2 0.011 0.818 0.563
O3 0.016 0.375 0.734
O4 0.041 0.120 0.636
O5 0.088 0.088 0.088

Results
- formation energy from the elements (meV/atom) = -2621
- DFT total energy (eV per formula unit) = -244.41
- crystal system = cubic

=====

# Li6Cr3CoP6O24

A geometry-optimized Li6Cr3CoP6O24 structure (PBE with a Hubbard U, the Materials Project).

a b c (Å): 8.481 8.513 8.515
angles (deg): 61.42 61.45 61.44
Space group P1 (No. 1)
Unique sites:
Li1 0.000 0.000 0.000
Li2 0.093 0.502 0.916
Li3 0.274 0.852 0.645
Li4 0.514 0.694 0.301
Li5 0.727 0.357 0.149
Li6 0.902 0.117 0.492
Cr1 0.108 0.705 0.506
Cr2 0.391 0.993 0.788
Cr3 0.610 0.211 0.007
Co1 0.892 0.494 0.294
P1 0.000 0.308 0.689
P2 0.208 0.102 0.187
P3 0.292 0.599 0.106
P4 0.503 0.389 0.610
P5 0.705 0.891 0.400
P6 0.792 0.812 0.904
O1 0.016 0.273 0.207
O2 0.056 0.467 0.661
O3 0.127 0.545 0.134
O4 0.157 0.111 0.714
O5 0.181 0.943 0.384
O6 0.218 0.055 0.029
O7 0.266 0.653 0.267
O8 0.293 0.772 0.920
O9 0.344 0.587 0.581
O10 0.382 0.137 0.149
O11 0.452 0.229 0.637
O12 0.485 0.440 0.085
O13 0.513 0.914 0.559
O14 0.548 0.362 0.774
O15 0.621 0.849 0.862
O16 0.671 0.406 0.415
O17 0.707 0.077 0.228
O18 0.729 0.727 0.349
O19 0.782 0.973 0.945
O20 0.806 0.618 0.072
O21 0.843 0.285 0.886
O22 0.868 0.860 0.456
O23 0.946 0.332 0.527
O24 0.986 0.778 0.742

Results
- formation energy from the elements (meV/atom) = -2537
- DFT total energy (eV per formula unit) = -276.12
- crystal system = triclinic

=====

# Li2MnP2O7
********
I think we've heard about every alternative except a sundial, but that would be inaccurate every time you changed direction. Do you think he will be back?
Cars and watches, go hand and hand! If you like mechanical things, watches are the next best thing to cars. The older the better! Give it try, besides everyone has a phone these days. Tick Tock
Many of us engineers have that level of OCD. Some otherwise normal people (i.e. non-engineers) do too. That works when I have a compass available, and the sky is not too overcast. The watch is what you should look at if a local thief asks you for the time. And it is what you'll need to tell time after you mistakenly pull out your cell phone in front of the thief.
It's actually much simpler. With your (correct) watch/phone in hand do the following: Set the seconds first. When your correct watch time is at 60 press the seconds button once. This will zero the seconds, but also set the time back to the beginning of the hour (e.g 9:16 will go back to 9:00). The car clock is now accurate to the second but not the minute. Set the minutes. You can hold down the button. Set to the correct time MINUS 1 (e.g. if you want 9:16 set to 9:15) That's it! When the seconds next reach 60 the minute will advance +1 as required to the correct time. Just a different way of thinking....